Results: 377

The article is interrupted by data records
********
Theoretical powder XRD pattern of TbCeTl6 for CuKα, from the PBE geometry in Alexandria.
Intensities are scaled so that the largest is 100.

Cell and atoms:
a b c (Å): 4.803 4.803 9.594
angles (deg): 90.00 90.00 90.00
Space group P4/mmm (No. 123)
One atom of each set of equivalent atoms:
Tb: 0.000 0.000 0.000
Ce: 0.000 0.000 0.500
Tl: 0.000 0.500 0.248
Tl: 0.500 0.500 0.000
Tl: 0.500 0.500 0.500

Most intense lines, 10 to 90 degrees two-theta, most intense first:
2θ/deg, I_rel, index
32.29, 100.0, 1 1 2
37.46, 50.5, 2 0 0
64.35, 42.3, 3 1 2
54.02, 35.7, 2 2 0
88.84, 18.5, 3 3 2
67.59, 12.2, 2 2 4
79.88, 3.9, 4 0 0
80.01, 1.9, 0 0 8
18.48, 1.3, 1 0 0
26.25, 1.1, 1 1 0

***

Theoretical powder XRD pattern of Tb2CeTl4 for CuKα, from the PBE geometry in Alexandria.
Intensities are scaled so that the largest is 100.

Cell and atoms:
a b c (Å): 5.278 5.278 7.703
angles (deg): 90.00 90.00 90.00
Space group P4/mmm (No. 123)
One atom of each set of equivalent atoms:
Tb: 0.000 0.000 0.000
Tb: 0.500 0.500 0.500
Ce: 0.000 0.000 0.500
Tl: 0.000 0.500 0.228

Most intense lines, 10 to 90 degrees two-theta, most intense first:
2θ/deg, I_rel, index
33.43, 100.0, 1 1 2
33.97, 50.3, 2 0 0
60.46, 37.1, 3 1 2
48.81, 18.4, 2 2 0
59.42, 16.9, 2 0 4
70.24, 10.3, 2 2 4
23.84, 9.0, 1 1 0
81.58, 8.4, 4 2 0
47.20, 8.3, 0 0 4
81.27, 8.1, 3 3 2
********
The article goes on

Workplace violence in the health sector: validez y adaptación del instrumento al idioma español, en el contexto ecuatoriano para tipos de violencia
Workplace violence in the health sector: adaptation and validation of the questionnaire for types of violence in the ecuadorian context

Horiz. enferm; 31 (1), 2020
Uno de los objetivos de la encuesta “Workplace Violence in the Health Sector” es investigar los factores que pueden contribuir a la violencia en el lugar de trabajo en el sector de salud en varios países del mundo para la toma de políticas públicas apropiadas. A pesar de que el inglés sea un idio...

Linguistic and cultural adaptation to the Portuguese language of antimicrobial dose adjustment software

ABSTRACT Objective To adapt an antibiotic dose adjustment software initially developed in English, to Portuguese and to the Brazilian context. Methods This was an observational, descriptive study in which the Delphi method was used to establish consensus among specialists from different health areas,...

Cross-cultural adaptation and semantic validation of an instrument to identify palliative requirements in Portuguese

ABSTRACT Objective To translate and make cross-cultural adaptation of NECPAL CCOMS-ICO© tool to Portuguese, and to analyze its semantic validity. Methods A methodological research about NECPAL CCOMS-ICO© tool cross-cultural adaptation, translated from Spanish into Portuguese and measurement of sema...

Goiter in Brazilian modernism paintings

Objective: To evaluate Di Cavalcanti’s artworks in which goiters are represented before and after the introduction of iodized salt to the Brazilian population. Methods: One hundred and thirty paintings by Di Cavalcanti from the 20’s to 70’s demonstrating necks were evaluated. All the paintings w...

Cross-cultural adaptation of the Zero Mothers Die (ZMD App) in Brazil: contributing to digital health with the approach on care centred for e-pregnant woman

Abstract Objectives: to describe the adaptation process of the Zero Mothers Die app, developed in Europe, is to combat maternal mortality, was brought into the Brazilian context with an individualized auscultation methodology for pregnant women and mothers who attended a high complexity referred teachin...

Attached: calculated crystals.
/*
Entry 1:
This entry pairs a crystal structure of MnCuTeSe with its calculated X-ray diffraction stick pattern. Radiation: Cu Kα, 1.54184 Å. Structure: the GGA-PBE geometry in Alexandria.

Atomic structure:
```
MnCuTeSe
1.0
3.598 -2.075 0.000
3.598 2.075 0.000
-2.391 0.000 6.750
Mn Cu Te Se
1 1 1 1
Direct
0.000 0.000 0.000 Mn
0.493 0.493 0.474 Cu
0.870 0.870 0.607 Te
0.372 0.372 0.115 Se
```

The 8 most intense peaks (2θ from 5° to 70°), by angle:
2θ/deg	I (rel.)
26.3	100
26.4	33
43.6	47
43.7	46
51.7	45
51.8	14
63.5	15
69.8	12

Entry 2:
This entry pairs a crystal structure of PrNdAg6 with its calculated X-ray diffraction stick pattern. Radiation: Cu Kα, 1.54184 Å. Structure: the GGA-PBE geometry in Alexandria.

Atomic structure:
```
PrNdAg6
1.0
5.656 0.000 0.000
-0.703 5.613 0.000
-0.701 -0.815 5.554
Pr Nd Ag
1 1 6
Direct
0.000 0.000 0.000 Pr
0.500 0.500 0.500 Nd
0.037 0.749 0.463 Ag
0.251 0.536 0.963 Ag
0.463 0.038 0.749 Ag
0.537 0.962 0.251 Ag
0.749 0.464 0.037 Ag
0.963 0.251 0.537 Ag
```

The 8 most intense peaks (2θ from 5° to 70°), by angle:
2θ/deg	I (rel.)
32.2	48
34.0	33
36.7	100
38.3	81
38.8	42
44.5	15
58.9	15
67.4	21

Entry 3:
This entry pairs a crystal structure of Rb2Cd3Pt2 with its calculated X-ray diffraction stick pattern. Radiation: Cu Kα, 1.54184 Å. Structure: the GGA-PBE geometry in Alexandria.

Atomic structure:
```
Rb2Cd3Pt2
1.0
6.419 -2.375 0.000
6.419 2.375 0.000
-4.450 0.000 6.765
Rb Cd Pt
2 3 2
Direct
0.142 0.142 0.275 Rb
0.858 0.858 0.725 Rb
0.331 0.331 0.071 Cd
0.500 0.500 0.500 Cd
0.669 0.669 0.929 Cd
0.109 0.109 0.697 Pt
0.891 0.891 0.303 Pt
```

The 8 most intense peaks (2θ from 5° to 70°), by angle:
2θ/deg	I (rel.)
14.4	100
29.0	41
30.9	30
37.2	47
37.9	29
39.3	28
40.8	36
48.4	20

Entry 4:
This entry pairs a crystal structure of Al4TeRh with its calculated X-ray diffraction stick pattern. Radiation: Cu Kα, 1.54184 Å. Structure: the GGA-PBE geometry in Alexandria.

Atomic structure:
```
Al4TeRh
1.0
0.000 3.765 3.765
3.765 0.000 3.765
3.765 3.765 0.000
Al Te Rh
4 1 1
Direct
0.124 0.124 0.124 Al
0.124 0.124 0.627 Al
0.124 0.627 0.124 Al
0.627 0.124 0.124 Al
0.500 0.500 0.500 Te
0.750 0.750 0.750 Rh
```

The 8 most intense peaks (2θ from 5° to 70°), by angle:
2θ/deg	I (rel.)
20.4	46
33.7	89
39.7	100
41.5	7
48.3	5
53.0	11
60.2	33
64.3	32

Entry 5:
This entry pairs a crystal structure of Tl5Sn2Au with its calculated X-ray diffraction stick pattern. Radiation: Cu Kα, 1.54184 Å. Structure: the GGA-PBE geometry in Alexandria.

Atomic structure:
```
Tl5Sn2Au
1.0
2.268 -5.845 0.000
2.268 5.845 0.000
0.000 0.000 17.546
Tl Sn Au
10 4 2
Direct
0.014 0.986 0.750 Tl
0.143 0.857 0.529 Tl
0.143 0.857 0.971 Tl
0.447 0.553 0.610 Tl
0.447 0.553 0.890 Tl
0.553 0.447 0.110 Tl
0.553 0.447 0.390 Tl
0.857 0.143 0.029 Tl
0.857 0.143 0.471 Tl
0.986 0.014 0.250 Tl
0.266 0.734 0.156 Sn
0.266 0.734 0.344 Sn
0.734 0.266 0.656 Sn
0.734 0.266 0.844 Sn
0.280 0.720 0.750 Au
0.720 0.280 0.250 Au
```

The 8 most intense peaks (2θ from 5° to 70°), by angle:
*/
Back to the article.

Analysis of quality of life in older adults in the Czech Republic and Brazil - a systematic review

Rev. Kairós; 22 (4), 2019
The objective of this study was to search for original articles that approach the Brazilian and Czech  elderly's quality of life in different dimensions. A systematic review was developed and the searches were carried out in Pub-Med/MEDLINE, LILACS, SciELO and PsycINFO databases. The quests were perform...

Adaptación transcultural al español de la escala Distress Management del NCCN versión 2. 2018 para su utilización en pacientes oncológicos en Colombia.
Transcultural adaptation to spanish of the Distress Management NCCN scale version 2.2018 for use in cancer patients in Colombia

Rev. colomb. cancerol; 23 (4), 2019
Resumen Antecedentes: Los pacientes con diagnóstico de cáncer presentan niveles significativos de malestar emocional relacionados con la enfermedad oncológica. El termómetro de malestar emocional (Distress Management) es una herramienta diseñada por la National Comprehensive Cáncer Network (NCCN)...

Engajamento, aparência e significados: a performance de idosas brasileiras e espanholas

Rev. Kairós; 22 (26, n.esp.), 2019
O artigo apresenta uma caracterização, e comparação etnográfica, sobre a relação entre engajamento social, construção da aparência e significados entre longevas brasileiras e espanholas, de baixas renda e escolaridade. Constatou-se mais semelhanças que diferenças entre os grupos. De modo gera...

Bifactor invariance analysis of student conceptions of assessment inventory

Psico USF; 24 (4), 2019
Student conceptions of the purposes of assessment are an important aspect of self-regulated learning. This study advances our understanding of the Student Conceptions of Assessment Inventory (SCoA) by examining the generalizability of the factorial structure of the SCoA using bifactor analysis and conduc...

Adaptação transcultural para a língua portuguesa do The Body-related Self-Conscious Emotions Fitness Instrument (BSE-FIT)

_Inserted here: calculated crystals_
(1)
Structure and simulated powder diffraction line list of GaHg14I (a crystal structure in Alexandria, relaxed with GGA-PBE; Cu Kα (weighted mean of Kα1 and Kα2)).
Neutral-atom scattering factors, no anomalous dispersion.

Atomic structure:
Unit cell a=10.879 b=6.456 c=13.745 alpha=90.00 beta=90.00 gamma=90.00
Space group Amm2 (No. 38)
Unique sites:
Ga1 0.000 0.000 0.000
Hg1 0.000 0.245 0.307
Hg2 0.205 0.000 0.155
Hg3 0.253 0.000 0.714
Hg4 0.267 0.245 0.438
Hg5 0.500 0.000 0.072
Hg6 0.500 0.000 0.566
Hg7 0.500 0.244 0.293
I1 0.000 0.000 0.557

Largest 8 diffraction maxima, sorted by position, 2θ = 10–90°:
2theta  Rel. int.
28.99  15
30.60  57
30.78  100
32.93  45
34.86  95
45.57  29
60.07  32
66.24  23


(2)
Structure and simulated powder diffraction line list of Ga3HgI3 (a crystal structure in Alexandria, relaxed with GGA-PBE; Cu Kα (weighted mean of Kα1 and Kα2)).
Neutral-atom scattering factors, no anomalous dispersion.

Atomic structure:
Unit cell a=8.023 b=8.184 c=9.271 alpha=80.70 beta=72.67 gamma=69.89
Space group P-1 (No. 2)
Unique sites:
Ga1 0.023 0.272 0.411
Ga2 0.319 0.404 0.906
Ga3 0.336 0.951 0.744
Hg1 0.164 0.340 0.663
I1 0.025 0.761 0.901
I2 0.305 0.904 0.434
I3 0.369 0.411 0.227

Largest 8 diffraction maxima, sorted by position, 2θ = 10–90°:
2theta  Rel. int.
22.70  17
23.91  35
28.39  42
29.57  100
36.52  43
39.00  23
45.96  22
48.94  18


(3)
Structure and simulated powder diffraction line list of GaHg5I (a crystal structure in Alexandria, relaxed with GGA-PBE; Cu Kα (weighted mean of Kα1 and Kα2)).
Neutral-atom scattering factors, no anomalous dispersion.

Atomic structure:
Unit cell a=11.654 b=7.209 c=11.231 alpha=90.00 beta=119.07 gamma=90.00
Space group C2/c (No. 15)
Unique sites:
Ga1 0.000 0.000 0.000
Hg1 0.000 0.002 0.250
Hg2 0.179 0.299 0.085
Hg3 0.195 0.281 0.602
I1 0.000 0.498 0.750

Largest 8 diffraction maxima, sorted by position, 2θ = 10–90°:
2theta  Rel. int.
30.38  79
30.73  100
30.84  46
31.87  63
44.55  28
44.68  37
54.17  16
54.31  15


- Which formula does entry 3 have?
  GaHg5I


What did the first record say?
Structure and simulated powder diffraction line list of GaHg14I (a crystal structure in Alexandria, relaxed with GGA-PBE; Cu Kα (weighted mean of Kα1 and Kα2)).
Neutral-atom scattering factors, no anomalous dispersion.

Atomic structure:
Unit cell a=10.879 b=6.456 c=13.745 alpha=90.00 beta=90.00 gamma=90.00
Space group Amm2 (No. 38)
Unique sites:
Ga1 0.000 0.000 0.000
Hg1 0.000 0.245 0.307
Hg2 0.205 0.000 0.155
Hg3 0.253 0.000 0.714
Hg4 0.267 0.245 0.438
Hg5 0.500 0.000 0.072
Hg6 0.500 0.000 0.566
Hg7 0.500 0.244 0.293
I1 0.000 0.000 0.557

Largest 8 diffraction maxima, sorted by position, 2θ = 10–90°:
2theta  Rel. int.
28.99  15
30.60  57
30.78  100
32.93  45
34.86  95
45.57  29
60.07  32
66.24  23

* * * * *

No. 1
Simulated powder diffractogram
Compound: RbBr
Radiation: Cu Kα X-rays
Structure: a GGA-PBE-relaxed structure

Peak list (8 most intense, 2θ from 10° to 90°, by angle)

Resumo O objetivo do presente estudo foi adaptar transculturalmente o instrumento "The Body-related Self-Conscious Emotions Fitness Instrument (BSE-FIT)" para a língua portuguesa brasileira. O processo de adaptação envolveu as seguintes etapas: tradução do BSE-FIT para a língua portuguesa; avaliaç...